Tuesday, January 17, 2012

New Year Resolution Fail

- - -
A plane-wave DFT calculation with PBE with a Hubbard U was carried out for crystalline Mn3Nb2Fe3O16 at its relaxed geometry. Values from VASP.

Calculated values
- Calculated volume: 11.87 Å³/atom
- Energy: -177.4 eV per cell
- DFT formation energy: -1.996 eV/atom

Cell and atoms, written as Quantum ESPRESSO input:
```
&SYSTEM
  ibrav = 0, nat = 24, ntyp = 4
/
ATOMIC_SPECIES
Mn 54.94 Mn.upf
Nb 92.91 Nb.upf
Fe 55.84 Fe.upf
O 16.00 O.upf
CELL_PARAMETERS angstrom
5.161 -2.954 0.000
5.161 2.954 0.000
-0.206 0.000 9.340
ATOMIC_POSITIONS crystal
Mn 0.000 0.000 0.000
Mn 0.338 0.832 0.501
Mn 0.832 0.338 0.501
Nb 0.504 0.504 0.215
Nb 0.840 0.840 0.718
Fe 0.001 0.504 0.002
Fe 0.338 0.338 0.500
Fe 0.504 0.001 0.002
O 0.001 0.508 0.615
O 0.004 0.004 0.609
O 0.131 0.704 0.877
O 0.164 0.164 0.905
O 0.165 0.165 0.405
O 0.216 0.659 0.379
O 0.333 0.833 0.116
O 0.339 0.339 0.119
O 0.508 0.001 0.615
O 0.510 0.510 0.605
O 0.650 0.650 0.386
O 0.659 0.216 0.379
O 0.694 0.694 0.871
O 0.704 0.131 0.877
O 0.833 0.333 0.116
O 0.844 0.844 0.107
```

* * * * *

[1]
# GdSnPd | the Materials Project database | PBE | relaxed
data_GdSnPd
_cell_length_a 7.2997
_cell_length_b 4.6352
_cell_length_c 8.0660
_cell_angle_alpha 90.00
_cell_angle_beta 90.00
_cell_angle_gamma 90.00
_symmetry_space_group_name_H-M 'P n m a'
_symmetry_Int_Tables_number 62
loop_
_symmetry_equiv_pos_as_xyz
'x,y,z'
'-x,-y,-z'
'-x+1/2,-y,z+1/2'
'x+1/2,y,-z+1/2'
'x+1/2,-y+1/2,-z+1/2'
'-x+1/2,y+1/2,z+1/2'
'-x,y+1/2,-z'
'x,-y+1/2,z'
loop_
_atom_site_label
_atom_site_type_symbol
_atom_site_fract_x
_atom_site_fract_y
_atom_site_fract_z
_atom_site_occupancy
Gd1 Gd 0.0102 0.2500 0.2006 1
Sn1 Sn 0.1840 0.2500 0.5825 1
Pd1 Pd 0.2130 0.7500 0.4084 1
# - theoretical density (g/cm3) = 9.3
# - ΔH_f (0 K) (eV/atom) = -0.919

---

[2]
# Ge3Bi4O12 | the Materials Project database | PBE | relaxed
data_Ge3Bi4O12
_cell_length_a 10.6630
_cell_length_b 10.6630
_cell_length_c 10.6630
_cell_angle_alpha 90.00
_cell_angle_beta 90.00
_cell_angle_gamma 90.00
_symmetry_space_group_name_H-M 'I -4 3 d'
_symmetry_Int_Tables_number 220
_symmetry_space_group_name_Hall 'I -4bd 2c 3'
loop_
_atom_site_label
_atom_site_type_symbol
_atom_site_fract_x
_atom_site_fract_y
_atom_site_fract_z
_atom_site_occupancy
Ge1 Ge 0.0000 0.2500 0.8750 1
Bi1 Bi 0.0868 0.4132 0.5868 1
O1 O 0.0404 0.3748 0.1800 1
# - theoretical density (g/cm3) = 6.8
# - ΔH_f (0 K) (eV/atom) = -1.931
# - MP2020-corrected energy (eV/atom) = -6.605

---

[3]
# Ba4Sn3O10 | the Materials Project database | PBE | relaxed
data_Ba4Sn3O10
_cell_length_a 6.0528
_cell_length_b 13.6065
_cell_length_c 14.0896
_cell_angle_alpha 90.00
_cell_angle_beta 90.00
_cell_angle_gamma 90.00
_symmetry_space_group_name_H-M 'C m c e'
_symmetry_Int_Tables_number 64
_symmetry_space_group_name_Hall '-C 2ac 2'
loop_
_atom_site_label
_atom_site_type_symbol
_atom_site_fract_x
_atom_site_fract_y
_atom_site_fract_z
_atom_site_occupancy
Ba1 Ba 0.0000 0.0316 0.1433 1
Ba2 Ba 0.0000 0.2371 0.3912 1
- - -
The calculated crystals stop here =

(Why the hell has this blog been so hard to start!  I've literally had this screen on my laptop for 3 days now, not knowing how I should begin...)

   For those of you who have read a couple of the blogs you would know that I harp on procrastination pretty hard, and that it seems to be a central theme a lot of the time.  So just to make my life a little bit harder this year I made a resolution that actually scared the size 10-12 pants off of me.  This year I will not procrastinate.  (It causes physical pain to even say it.)  However, I did give myself a little bit of a loop hole.  I (not surprisingly) set this goal with more a financial, business, get my life in order, career wise kind of theme.  Working out and eating healthy was sooooo not even a thought that crossed my mind.  That, in my book, is not good, because it comes with the thought process of having given up.

  Now in all respect I have shed 10 pounds in the last 2 months and I have no idea how... Its not like I did anything different other than stressing about things that were going on in my life.  However, now that I sit here with a normal amount of life stress I see myself falling back into the routine of "I lost 10 pounds and now its time to put it back on by making excuses as to why I can go get a hamburger and fries instead of making a salad."  Does anyone else ever do this?  You shed 2 pounds then shove a Chalupa in your face?  I am a frequent offender of this thought process and pay for it every time I step on my scale and see that number soar to high heights!  And believe me, Sucking in your stomach does not make that number go down.  Nor does holding up you boobs... because if you're like me, I believe those girls should not count to my total weight. 

  Towards the end of December a thought hit me...why do we constantly set resolutions, knowing that from past experience 99% of the time we fail to complete them?  Is there a way to set a resolution at the beginning of the year that has some fool proof method?  This thought intrigued me so I did some research on the matter.

  What I found is that you have to 1) Set a goal 2) Ask yourself whether or not its measurable and attainable 3) Take it one small bite at a time.

  Number 3 is key to resolution setting success.  We often set a goal and just focus on it as a whole, therefore becoming overwhealmed by it and eventually quit.  Now when I say 'one small bite at a time', i'm not talking about that chocolate cake at your friends birthday party or those pink frosted Valentine's day cupcakes that are sure to make their way into our kitchens at some point. I'm talking about setting small goals with a time limit within the 'Big Picture Goal.'  Example.. (we'll use mine) I have until the end of February to get my business license and open a bank account under that name.  I have until the end of March to get my Website up and running.  When I set these smaller goals, getting my life in order financially doesn't seem like a such a tall order!  Doing this with physical goals is just as easy...

  Once I established that I had essentially not given my weight loss a second thought at the beginning of the year, I set a goal around it.  By the end of January I have to have completed 6 workouts using my brand spanking new copy of Jillian Michaels Ab Workout DVD, and have run at least twice.  It may not seem like a lot to most people, but knowing what my failure rate has been in the past, this is a good start.  Next month i'll up the ante a little bit by throwing in shopping twice a week at Fresh & Easy and Trader Joe's for organic whole foods, therefore, lowering the amount of time I find myself at Taco Bell ordering that damn #9 with a laughable Diet Pepsi.

  Next blog i'll go into more detail about products you can use to help facilitate your goals.  I also want to start doing more videos demonstrating workout DVDs, diets, and excercises so you the reader can make the best decision on what works for you.  And yes, I promise from now on the blogs will be far more entertaining and humorous!

Happy Dieting!